Data.
=====
No. 1
14
Properties=species:S:1:pos:R:3 method="wB97M-V/def2-TZVPD" gap_ev="6.4 / 9.6" total_charge=0 spin_multiplicity=1 max_force_ev_per_a=5.20 relative_energy_kj_mol=1052.1
C 1.2137 0.1763 -0.2083
C 0.0477 -0.6316 -0.8495
O -0.3876 -1.7140 -0.0296
C -1.2362 -0.8845 0.8540
C -0.2764 -0.1917 1.7238
N 0.1418 0.6295 0.7737
C -0.9373 0.3488 -0.2497
H 2.0308 -0.3852 0.2470
H 1.5397 1.0295 -0.8127
H 0.0401 -0.8401 -1.9185
H -2.1043 -1.4454 1.2126
H 0.9950 3.0048 -2.0119
H 0.1924 -0.3951 2.7146
H -1.2596 1.2987 -1.4456

***

No. 2
15
Properties=species:S:1:pos:R:3 method="wB97M-V/def2-TZVPD" gap_ev=6.6 total_charge=-1 spin_multiplicity=1 max_force_ev_per_a=3.05 relative_energy_kj_mol=364.7
C -0.9507 0.1735 -2.2600
C 1.5352 -0.0378 1.1457
C -0.8048 0.9907 0.9054
C 0.3457 0.1712 0.2519
O -0.0753 0.2507 -3.0512
O -1.9823 0.6840 -1.9613
P -0.2389 -1.0357 -0.7924
H 1.1553 -0.6246 1.9742
H 2.4078 -0.5884 0.6742
H 1.9838 0.8979 1.6528
H -0.7419 1.0217 2.0114
H -0.8260 1.9849 0.5873
H -1.7633 0.4747 0.5737
H -0.9090 -2.6078 -0.4647
H 0.8646 -1.7549 -1.2471

***

No. 3
75
Properties=species:S:1:pos:R:3 method="wB97M-V/def2-TZVPD" gap_ev="7.6 / 6.5" s_squared=8.762 total_charge=0 spin_multiplicity=6 max_force_ev_per_a=1.01
Fe 0.5696 -0.9867 0.3232
C -2.9074 4.0806 -0.6734
C -3.5425 2.8548 -0.0222
N -2.6457 2.1072 0.8482
C -1.5361 1.4540 0.4638
S -0.6695 0.6295 1.7325
N -1.1446 1.5283 -0.7734
N -0.0469 0.7708 -1.0323
C 0.6630 1.0704 -2.0501
C 0.4007 2.2373 -2.9451
C 1.8297 0.2059 -2.2827
C 2.5719 0.2535 -3.4503
C 3.6424 -0.6119 -3.6051
C 3.9528 -1.4896 -2.5838
C 3.1810 -1.4530 -1.4385
N 2.1522 -0.6231 -1.2875
H -3.6731 4.6483 -1.2047
H -2.1416 3.7732 -1.3817
H -2.4471 4.7265 0.0770
H -3.9199 2.1837 -0.7957
H -4.3830 3.1651 0.5963
H -2.8856 2.0079 1.8183
H -0.4549 2.7920 -2.5770
H 0.1922 1.9010 -3.9637
H 1.2717 2.8957 -2.9752
H 2.3002 0.9392 -4.2400
H 4.2203 -0.6044 -4.5198
H 4.7587 -2.2032 -2.6735
H 3.3848 -2.1139 -0.6035
C 3.4726 0.0028 1.7199
N 2.2514 -0.8081 1.7642
C 2.0608 -1.5475 2.8005
C 0.9688 -2.4181 2.8598
C 0.5978 -3.3612 3.8163
C -0.4785 -4.0593 3.2693
C -0.7056 -3.5024 2.0075
N 0.1584 -2.5017 1.7634
C 3.2253 1.4985 1.7486
C 3.7541 2.2738 2.7728
C 3.5832 3.6539 2.7772
C 2.8698 4.2695 1.7604
C 2.3201 3.4977 0.7438
C 2.5027 2.1248 0.7398
H 4.0145 -0.2463 0.8050
H 4.1103 -0.2565 2.5678
H 2.7747 -1.5477 3.6236
H 1.0661 -3.5093 4.7779
H -1.0267 -4.8798 3.7058
H -1.4293 -3.8325 1.2734
H 4.3097 1.7990 3.5748
H 4.0163 4.2475 3.5732
H 2.7464 5.3449 1.7561
H 1.7605 3.9685 -0.0572
H 2.0840 1.5258 -0.0503
N -1.7206 -1.5897 -0.3148
C -3.0306 -1.1999 0.0495
C -3.7946 -0.4381 -0.8273
C -5.0894 -0.0755 -0.4876
C -5.6349 -0.4687 0.7272
C -4.8627 -1.2146 1.6099
C -3.5632 -1.5677 1.2816
H -1.5688 -1.5404 -1.3145
H -1.4823 -2.5128 0.0124
H -3.3719 -0.1504 -1.7840
H -5.6837 0.5041 -1.1838
H -6.6566 -0.2110 0.9775
H -5.2832 -1.5415 2.5531
H -2.9546 -2.1342 1.9763
F 0.6063 -2.6827 -1.1546
P 0.1333 -3.4331 -2.6396
F 1.4256 -2.7711 -3.3203
F -1.1528 -3.9960 -1.8606
F -0.6868 -2.0604 -2.9796
F -0.3228 -4.0987 -4.0008
F 0.9936 -4.6929 -2.1934

***

No. 4
98
Properties=species:S:1:pos:R:3 method="wB97M-V/def2-TZVPD" gap_ev=4.4 total_charge=+3 spin_multiplicity=1 max_force_ev_per_a=0.69 relative_energy_kj_mol=0.0
Zr -1.6812 -1.2674 -0.3895
C 1.3040 -6.3906 3.2126
O -0.1362 -6.5309 3.2480
C -0.9151 -5.6994 2.6233
C -2.3058 -5.9547 2.7349
C -3.1863 -5.1383 2.1083
C -2.7742 -4.0042 1.3322
C -3.7518 -3.2389 0.6886
C -5.2144 -3.5254 0.7411
O -3.4272 -2.1996 -0.0361
C -1.3597 -3.7833 1.2550
O -0.8646 -2.7326 0.5247
C -0.4489 -4.5971 1.8659
H 1.6745 -7.2245 3.7969
H 1.5855 -5.4466 3.6762
H 1.6525 -6.4651 2.1839
H -2.6245 -6.8062 3.3187
H -4.2420 -5.3519 2.1982
H -5.5889 -3.4863 1.7662
H -5.4248 -4.5274 0.3629
H -5.7514 -2.8001 0.1366
H 0.6055 -4.3880 1.7710
I -5.4911 -3.4966 -4.5596
C -3.5688 -3.3852 -3.8220
C -2.6061 -4.3546 -4.1032
C -1.3252 -4.2146 -3.5873
C -1.0399 -3.1271 -2.7866
N -1.9665 -2.1961 -2.4861
C -3.1918 -2.3199 -3.0205
H -2.8536 -5.2063 -4.7234
=====

Brief.
What is needed: return the rows further above with every line break kept.

Done.
No. 1
14
Properties=species:S:1:pos:R:3 method="wB97M-V/def2-TZVPD" gap_ev="6.4 / 9.6" total_charge=0 spin_multiplicity=1 max_force_ev_per_a=5.20 relative_energy_kj_mol=1052.1
C 1.2137 0.1763 -0.2083
C 0.0477 -0.6316 -0.8495
O -0.3876 -1.7140 -0.0296
C -1.2362 -0.8845 0.8540
C -0.2764 -0.1917 1.7238
N 0.1418 0.6295 0.7737
C -0.9373 0.3488 -0.2497
H 2.0308 -0.3852 0.2470
H 1.5397 1.0295 -0.8127
H 0.0401 -0.8401 -1.9185
H -2.1043 -1.4454 1.2126
H 0.9950 3.0048 -2.0119
H 0.1924 -0.3951 2.7146
H -1.2596 1.2987 -1.4456

***

No. 2
15
Properties=species:S:1:pos:R:3 method="wB97M-V/def2-TZVPD" gap_ev=6.6 total_charge=-1 spin_multiplicity=1 max_force_ev_per_a=3.05 relative_energy_kj_mol=364.7
C -0.9507 0.1735 -2.2600
C 1.5352 -0.0378 1.1457
C -0.8048 0.9907 0.9054
C 0.3457 0.1712 0.2519
O -0.0753 0.2507 -3.0512
O -1.9823 0.6840 -1.9613
P -0.2389 -1.0357 -0.7924
H 1.1553 -0.6246 1.9742
H 2.4078 -0.5884 0.6742
H 1.9838 0.8979 1.6528
H -0.7419 1.0217 2.0114
H -0.8260 1.9849 0.5873
H -1.7633 0.4747 0.5737
H -0.9090 -2.6078 -0.4647
H 0.8646 -1.7549 -1.2471

***

No. 3
75
Properties=species:S:1:pos:R:3 method="wB97M-V/def2-TZVPD" gap_ev="7.6 / 6.5" s_squared=8.762 total_charge=0 spin_multiplicity=6 max_force_ev_per_a=1.01
Fe 0.5696 -0.9867 0.3232
C -2.9074 4.0806 -0.6734
C -3.5425 2.8548 -0.0222
N -2.6457 2.1072 0.8482
C -1.5361 1.4540 0.4638
S -0.6695 0.6295 1.7325
N -1.1446 1.5283 -0.7734
N -0.0469 0.7708 -1.0323
C 0.6630 1.0704 -2.0501
C 0.4007 2.2373 -2.9451
C 1.8297 0.2059 -2.2827
C 2.5719 0.2535 -3.4503
C 3.6424 -0.6119 -3.6051
C 3.9528 -1.4896 -2.5838
C 3.1810 -1.4530 -1.4385
N 2.1522 -0.6231 -1.2875
H -3.6731 4.6483 -1.2047
H -2.1416 3.7732 -1.3817
H -2.4471 4.7265 0.0770
H -3.9199 2.1837 -0.7957
H -4.3830 3.1651 0.5963
H -2.8856 2.0079 1.8183
H -0.4549 2.7920 -2.5770
H 0.1922 1.9010 -3.9637
H 1.2717 2.8957 -2.9752
H 2.3002 0.9392 -4.2400
H 4.2203 -0.6044 -4.5198
H 4.7587 -2.2032 -2.6735
H 3.3848 -2.1139 -0.6035
C 3.4726 0.0028 1.7199
N 2.2514 -0.8081 1.7642
C 2.0608 -1.5475 2.8005
C 0.9688 -2.4181 2.8598
C 0.5978 -3.3612 3.8163
C -0.4785 -4.0593 3.2693
C -0.7056 -3.5024 2.0075
N 0.1584 -2.5017 1.7634
C 3.2253 1.4985 1.7486
C 3.7541 2.2738 2.7728
C 3.5832 3.6539 2.7772
C 2.8698 4.2695 1.7604
C 2.3201 3.4977 0.7438
C 2.5027 2.1248 0.7398
H 4.0145 -0.2463 0.8050
H 4.1103 -0.2565 2.5678
H 2.7747 -1.5477 3.6236
H 1.0661 -3.5093 4.7779
H -1.0267 -4.8798 3.7058
H -1.4293 -3.8325 1.2734
H 4.3097 1.7990 3.5748
H 4.0163 4.2475 3.5732
H 2.7464 5.3449 1.7561
H 1.7605 3.9685 -0.0572
H 2.0840 1.5258 -0.0503
N -1.7206 -1.5897 -0.3148
C -3.0306 -1.1999 0.0495
C -3.7946 -0.4381 -0.8273
C -5.0894 -0.0755 -0.4876
C -5.6349 -0.4687 0.7272
C -4.8627 -1.2146 1.6099
C -3.5632 -1.5677 1.2816
H -1.5688 -1.5404 -1.3145
H -1.4823 -2.5128 0.0124
H -3.3719 -0.1504 -1.7840
H -5.6837 0.5041 -1.1838
H -6.6566 -0.2110 0.9775
H -5.2832 -1.5415 2.5531
H -2.9546 -2.1342 1.9763
F 0.6063 -2.6827 -1.1546
P 0.1333 -3.4331 -2.6396
F 1.4256 -2.7711 -3.3203
F -1.1528 -3.9960 -1.8606
F -0.6868 -2.0604 -2.9796
F -0.3228 -4.0987 -4.0008
F 0.9936 -4.6929 -2.1934

***

No. 4
98
Properties=species:S:1:pos:R:3 method="wB97M-V/def2-TZVPD" gap_ev=4.4 total_charge=+3 spin_multiplicity=1 max_force_ev_per_a=0.69 relative_energy_kj_mol=0.0
Zr -1.6812 -1.2674 -0.3895
C 1.3040 -6.3906 3.2126
O -0.1362 -6.5309 3.2480
C -0.9151 -5.6994 2.6233
C -2.3058 -5.9547 2.7349
C -3.1863 -5.1383 2.1083
C -2.7742 -4.0042 1.3322
C -3.7518 -3.2389 0.6886
C -5.2144 -3.5254 0.7411
O -3.4272 -2.1996 -0.0361
C -1.3597 -3.7833 1.2550
O -0.8646 -2.7326 0.5247
C -0.4489 -4.5971 1.8659
H 1.6745 -7.2245 3.7969
H 1.5855 -5.4466 3.6762
H 1.6525 -6.4651 2.1839
H -2.6245 -6.8062 3.3187
H -4.2420 -5.3519 2.1982
H -5.5889 -3.4863 1.7662
H -5.4248 -4.5274 0.3629
H -5.7514 -2.8001 0.1366
H 0.6055 -4.3880 1.7710
I -5.4911 -3.4966 -4.5596
C -3.5688 -3.3852 -3.8220
C -2.6061 -4.3546 -4.1032
C -1.3252 -4.2146 -3.5873
C -1.0399 -3.1271 -2.7866
N -1.9665 -2.1961 -2.4861
C -3.1918 -2.3199 -3.0205
H -2.8536 -5.2063 -4.7234